Appendix 3: Documents related to the marriage of Kenneth Jones and Zita Shutts

Affidavit in the matter of the application for license for the marriage of Mr. Kenneth Jones, age 24, Post office Rexfield, Iowa, and Miss Ida [sic] Schutts [sic], age 15, post office Rexfield, Iowa, #11249 in the district court of Iowa, in and for Monroe County.

State of Iowa, Monroe County, ss, I, W. H. Schutts [sic] of Rexfield, Ia, do solemnly swear that I am acquainted with Kenneth Jones and Ida [sic] Schutts [sic] who are parties for the marriage of whom a license is applied: that he is 21 years of age, of sound contracting mind, and unmarried; that she is 15 years of age, of sound contracting mind, and unmarried; that they are not first cousins and neither has been divorced within one year, and that there is no legal impediment to said parties entering the marriage state, to the best of my knowledge, and belief…signed W. H. Shutts.
Subscribed in my presence by W. H. Schutts [sic] and by him before me sworn to this 20 day of May 1922…signed Lloyd Waters, Clerk District Court.
License #11249 issued 20 day of May 1922 for marriage of above named parties…signed Lloyd Waters, Clerk District Court

1. By whom affidavit, if any, was made W. H. Schutts [sic]
2. By whom consent to marriage is given Father of girl
3. Full name of GROOM Kenneth C. Jones
4. Place of residence Rexfield, Ia Occupation Miner
5. Groom’s age next birthday: 25; Color: White; Race: Cauc;
No. of Groom’s marriage: 1; Groom’s place of birth: Smoky Hollow, IA
6. Groom’s father’s full name T. A. Jones
7. Groom’s mother’s full maiden name Eva Hyde
8. Full name of BRIDE Zita Shutts
9. Bride’s maiden name, if a widow….
10. Bride’s Place of Residence Rexfield, Ia Bride’s age next birthday 16
11. Color White Race Cauc No. of bride’s marriage 1st
12. Bride’s place of birth Hamilton, Ia
13. Bride’s father’s full name W. H. Schutts [sic]
14. Bride’s mother’s full maiden name Clementine DeMoss
15. Where and when married Albia, Ia, May 20, 1921(Note how this differs from the rest of the dates on this document.)
16. Witnesses Mr and Mrs W. H. Schutts [sic]
17. By whom married, name and office Rev W. A. Longnecker

We hereby certify that the information above given is correct, to the best of knowledge and belief. Kenneth Jones Groom. Zita Shutts Bride. I hereby certify that the above is a correct return of a marriage solemnized by me. Dated at Albia, Ia this 20 day of May 1922 W. A Longnecker, Minister M. E. Church
(If Kenneth and Zita were married in 1921, Kenneth would have been 23 and Zita 14)

### Data records, as found in the file
No. 1
{
  "formula": "C5H7N3",
  "method": "ωB97M-V/def2-TZVPD",
  "charge": 0,
  "multiplicity": 1,
  "gap_ev": [8.13, 7.81],
  "e_tot_ev": -9763.836,
  "symbols": ["N", "C", "C", "C", "N", "C", "C", "N", "H", "H", "H", "H", "H", "H", "H"],
  "xyz": [[-0.00100, -0.04200, -0.07440], [0.48077, -1.18219, 0.68544], [-0.60926, -0.29141, -1.21827], [0.15812, 1.17831, 0.44752], [0.97981, -0.83344, 1.89002], [-1.74453, -0.15610, -1.83505], [0.72298, 2.29833, 0.08851], [0.47351, -2.36677, 0.26394], [1.20338, -1.57507, 2.52660], [0.74645, 0.08413, 2.23554], [0.12124, -2.47873, -0.68218], [-1.84261, -0.42414, -2.87357], [0.62633, 3.17980, 0.70005], [-2.65262, 0.20051, -1.35092], [1.33743, 2.40878, -0.80320]],
  "forces_ev_per_a": [[0.0, -0.1, 0.0], [0.2, -0.7, 0.1], [0.1, -0.2, -0.6], [-0.2, 0.6, 0.5], [0.0, 0.4, 0.1], [-0.4, 0.1, 0.0], [0.2, 0.2, -0.2], [-0.1, -0.4, -0.1], [0.0, -0.1, 0.0], [0.0, -0.1, 0.1], [0.0, 0.2, 0.0], [0.1, 0.0, -0.2], [-0.1, 0.2, 0.1], [0.1, 0.0, 0.2], [0.0, -0.2, -0.1]],
  "lowdin_charge": [-0.07, -0.49, -0.09, -0.12, 0.14, 0.03, 0.01, 0.15, 0.11, 0.08, 0.04, 0.05, 0.04, 0.07, 0.06]
}

No. 2
{
  "formula": "C5H7N3",
  "method": "ωB97M-V/def2-TZVPD",
  "charge": 0,
  "multiplicity": 3,
  "gap_ev": [7.67, 8.97],
  "e_tot_ev": -9762.579,
  "s2": 2.007,
  "symbols": ["C", "C", "C", "C", "C", "N", "N", "N", "H", "H", "H", "H", "H", "H", "H"],
  "xyz": [[2.05624, 0.59403, -0.33469], [-0.18670, -0.78524, -0.81656], [0.71813, 0.10257, 0.11384], [-1.70972, -0.67936, -0.66468], [0.32453, 1.16214, 1.01943], [3.05374, 1.10272, -0.51715], [0.30440, -1.90243, 0.12965], [0.99597, -1.14926, 0.81617], [0.16125, -0.94091, -1.80337], [-2.04223, -0.66192, 0.39932], [-2.02922, -1.56274, -1.13789], [-2.21529, 0.19320, -1.14029], [-0.71869, 1.09197, 1.49269], [0.30257, 2.26684, 0.61227], [0.98501, 1.16840, 1.83127]],
  "forces_ev_per_a": [[-2.0, -0.8, -0.6], [-0.7, 1.3, 2.2], [1.7, 0.0, -1.7], [0.4, 1.4, 0.7], [-4.3, 4.0, 0.9], [1.6, 0.6, -0.4], [-1.5, -2.0, -1.8], [1.3, 0.2, 2.3], [0.4, -0.1, -0.9], [0.5, -0.2, -0.8], [-1.0, -1.1, -0.4], [0.8, -0.5, 0.0], [1.3, -0.5, -0.8], [0.4, -2.3, 0.2], [1.1, 0.0, 1.2]],
  "lowdin_charge": [-0.17, -0.19, -0.47, -0.05, -0.07, 0.17, 0.05, 0.05, 0.12, 0.09, 0.06, 0.10, 0.11, 0.14, 0.07]
}

No. 3
{
  "formula": "C5H7N3O",
  "method": "ωB97M-V/def2-TZVPD",
  "charge": 0,
  "multiplicity": 1,
  "gap_ev": 7.55,
  "e_tot_ev": -11810.631,
  "smiles": "[H]/N=C\\C(N=C)=N/[H].C=C=O",
  "symbols": ["H", "N", "C", "C", "N", "C", "N", "H", "H", "H", "H", "C", "C", "O", "H", "H"],


This certifies, that on the 20 day of May 1922, at Albia in said County, according to law and by authority, I duly joined in marriage, Mr. Kenneth C. Jones and M Zita H. Schutts [sic] Given under my hand this 20 day of May 1922

When Registered: June 16 1922
W. A. Longnecker, Minister
M. E. Church

